How Natural Health Care Helped Me

Welcome to my blog! My name is Richard and today I would like to tell you all about the various ways in which natural health care has helped me. For many years, I have suffered from a bad back. The pain was very intense and even though I had many appointments with my GP and other specialists, none of that seemed to work. My friend suggested that I visit a natural health care practitioner. I was sceptical at first, but after a few session and several back massages, the pain in my back began to disappear. I decided to start a blog to encourage others to use natural health care treatments.

Why Should You Quit Smoking?

## Misplaced records of molecules
- - -
# 1
A 14-piece molecular cluster, C21H70N4O14 overall. Source: the OMol25 dataset; level of theory: ωB97M-V/def2-TZVPD.

The HOMO-LUMO gap is 8.89 eV. As for the largest force on an atom: 8.5 eV/A. The calculation puts the calculated total energy at -57529.246 eV. Its energy relative to the best compared isomer or geometry (same formula, charge and spin) is 235.0 kJ/mol. The LUMO energy comes out at -0.28 eV.

CARTESIAN COORDINATES (ANGSTROEM)
O1 -3.354 0.046 -3.861
C1 -1.040 2.235 -4.522
H1 -0.908 -2.551 -1.663
H2 -1.935 2.824 1.449
H3 4.397 -1.242 -2.352
O2 -0.611 -3.427 -1.977
H4 -1.386 -0.650 4.956
H5 -3.690 -1.874 -0.253
H6 -4.361 -0.126 0.216
C2 5.134 -0.621 -0.354
O3 0.322 1.074 6.003
H7 -1.293 2.935 -5.341
H8 -2.686 0.157 -2.032
H9 -0.899 0.050 1.683
H10 -1.630 1.938 -2.413
H11 -0.894 -0.879 -3.471
H12 1.200 -4.562 -3.480
H13 -2.933 1.039 4.261
O4 2.332 0.686 2.401
H14 1.747 1.673 4.705
H15 1.632 3.472 -2.732
H16 -0.174 -5.774 1.835
O5 5.408 -1.905 0.114
O6 -1.132 -1.341 2.959
C3 -3.386 -0.430 -2.574
C4 -1.236 -3.984 1.228
H17 6.113 -0.160 -0.609
C5 1.278 -4.816 -2.383
O7 -2.167 -3.919 0.152
H18 -4.903 -2.430 1.869
H19 4.222 -2.110 2.981
N1 3.740 -1.118 3.037
H20 0.671 1.020 1.508
O8 -0.988 -1.022 -0.607
H21 1.627 1.039 -0.354
C6 3.984 -0.752 -1.470
C7 -0.848 -5.461 1.123
H22 1.494 -1.117 1.033
H23 0.865 -5.799 -2.261
O9 0.309 2.146 -4.264
C8 0.687 1.262 4.669
H24 -4.256 3.386 0.439
H25 0.985 -0.067 -1.618
H26 1.236 -2.753 -1.827
C9 -2.037 3.112 0.430
O10 1.021 4.960 1.314
H27 3.394 2.618 0.642
C10 -0.101 -0.082 -0.066
H28 -4.095 -0.393 -4.278
H29 2.328 -4.999 -2.279
H30 -1.340 2.578 -0.218
H31 1.749 4.705 -1.513
H32 -2.832 -1.232 4.180
H33 0.892 -4.006 -0.542
H34 -4.410 -0.500 -2.162
H35 -3.139 -1.528 -2.566
O11 -5.249 -1.709 1.265
H36 -0.127 1.938 6.131
H37 -1.618 1.398 3.277
H38 1.734 4.544 0.788
H39 -1.277 3.673 -2.723
H40 -1.695 -6.190 1.261
H41 -3.416 3.162 -1.123
H42 0.807 3.309 -1.152
O12 1.129 -0.468 -3.182
N2 -0.119 0.429 1.136
H43 0.653 4.514 3.326
O13 -1.698 4.522 0.322
C11 0.698 -3.677 -1.575
H44 4.821 -1.963 0.889
H45 -3.015 0.499 2.659
H46 4.147 -0.493 3.799
H47 3.728 3.565 -1.208
N3 0.964 0.260 -0.625
H48 4.750 -0.129 0.497
H49 0.124 -0.630 -4.913
H50 -2.772 2.902 -3.272
H51 3.102 -1.363 -1.184
O14 2.542 2.671 0.145
H52 2.975 2.033 -1.877
H53 -1.672 -3.650 2.140
H54 1.934 -0.886 -3.586
H55 -1.240 1.205 -4.881
N4 2.178 -1.549 1.660
H56 0.164 3.297 2.112
H57 2.740 -2.340 1.326
H58 -3.734 1.806 -0.015
C12 -4.093 -1.141 0.569
C13 -1.689 2.755 -3.178
C14 0.845 4.083 2.348
C15 2.752 -0.652 2.383
C16 0.061 -0.976 -3.897
C17 -3.436 2.852 -0.098
H59 0.634 0.275 4.190
H60 0.443 1.262 -3.880
H61 -0.278 -5.666 0.228
C18 1.634 3.619 -1.722
H62 1.863 3.668 2.399
H63 -0.727 4.622 0.401
H64 0.173 -2.104 -4.036
H65 -0.488 -3.261 1.137
H66 -3.284 -0.923 1.375
H67 -1.745 -3.372 -0.511
C19 -2.370 0.595 3.451
C20 -1.926 -0.735 3.987
H68 0.100 1.938 3.918
C21 2.846 2.880 -1.198
H69 -0.582 -1.928 3.395
H70 3.580 0.169 -1.866
- - -

8 October 2024
 Categories: , Blog

Quitting smoking is one of the most beneficial decisions you can make for your health and well-being. While the journey to becoming smoke-free may seem daunting, the rewards far outweigh the challenges. Embracing a life without cigarettes can lead to vibrant health, enhanced quality of life and newfound freedom. Reclaim Your Health Smoking affects nearly every organ in your body, from your heart to your lungs. When you quit smoking, you significantly reduce your risk of developing serious health conditions such as heart disease, stroke and lung cancer. Read More …

Say Goodbye to Pain with Natural Remedies- A Guide to Effective Pain Relief

24 July 2023
 Categories: , Blog

If you suffer from recurrent pain, you know how it can disrupt your daily life. It could be anything from joint pain, muscle aches or even headaches that can be daunting to deal with. While conventional medication and therapies could be helpful, they come with side effects that could be unpleasant for many people. Natural remedies, on the other hand, have been used for centuries to alleviate chronic pain and have no significant adverse effects. Read More …

Two Tips To Follow When Stocking Up Your Workplace’s First Aid Kit

19 October 2021
 Categories: , Blog

Here are two tips to follow when stocking the first aid kit in your workplace. Get natural, organic band-aids It is best to get organic band-aids that are made from natural materials for the first aid kit. Many people have sensitive skin that reacts badly when any synthetic materials or trace amounts of residue come into contact with it. If a staff member at your workplace has sensitive skin and gets a bad papercut, then this wound might get more irritated if they put a non-organic band-aid that has residues and other skin-sensitising ingredients in it. Read More …

3 Top Benefits of Natural Band-Aids

19 January 2021
 Categories: , Blog

Injuries — minor or severe — are a typical occurrence in life, making bandages a necessity. If you do not have any available, you might end up dealing with bacteria-infested wounds. It is usually not a problem in the city since you can find a pharmacy every few blocks. However, did you know that some people are allergic to standard latex band-aids? Moreover, regular bandages contribute significantly towards landfills, making them a nuisance to the environment. Read More …

Seeking Medical Care for a Relative Who Does Not Speak English

28 August 2017
 Categories: , Blog

Every year, many people immigrate to Australia from abroad to start a new life. If you have moved to Australia from a country where English is not the native language, you may face some difficulties accessing health care and other social services required by a family member who does not speak English. Below is a guide to the steps you can take to help a family member who doesn't speak English access healthcare. Read More …